• Listing:
/*
Entry 1:
DFT (ωB97M-V with the def2-TZVPD basis set) results for a structure of composition C63H61N6O6PS2SiTi in a non-equilibrium geometry.

As for the max |F|: 0.0488 hartree/bohr. Its HOMO energy (spin up / spin down) is -4.7542 / -4.7620 eV. The total energy is -149501.69346 eV.

```
! wB97M-V def2-TZVPD RIJCOSX def2/J DEFGRID3
* xyz 0 1
Ti -0.05 0.09 -0.12
N -2.51 -3.67 0.51
C -1.57 -2.67 0.94
N -1.03 -1.90 -0.17
C -1.00 -2.43 -1.38
N -0.49 -1.77 -2.43
N -0.18 -0.51 -2.06
C -0.03 0.37 -3.00
C -0.20 1.76 -2.60
C -0.33 2.80 -3.52
C -0.73 4.04 -3.05
C -0.97 4.21 -1.70
C -0.79 3.13 -0.84
N -0.40 1.94 -1.29
C -1.60 -3.74 -1.68
C -1.49 -4.35 -2.93
C -2.14 -5.54 -3.19
C -2.92 -6.12 -2.19
C -3.05 -5.52 -0.95
C -2.39 -4.32 -0.68
H -3.11 -4.06 1.21
H -2.13 -1.98 1.57
H -0.04 0.05 -4.04
H -0.16 2.62 -4.57
H -0.85 4.87 -3.74
H -1.30 5.16 -1.30
H -0.96 3.20 0.22
H -0.89 -3.86 -3.68
H -2.05 -6.01 -4.16
H -3.45 -7.05 -2.39
H -3.67 -5.97 -0.18
O -3.16 2.42 1.20
S -3.08 0.98 1.16
O -4.21 0.29 0.60
O -1.81 0.53 0.52
C -2.96 0.39 2.84
C -4.14 0.62 3.54
C -4.32 0.17 4.83
C -3.29 -0.55 5.43
C -2.12 -0.77 4.74
C -1.90 -0.29 3.44
P -0.18 -0.61 2.76
C 0.81 0.07 4.14
C 0.34 1.07 4.98
C 1.16 1.63 5.95
C 2.47 1.19 6.09
C 2.95 0.19 5.26
C 2.13 -0.37 4.29
C -0.07 -2.42 3.02
C 0.29 -3.02 4.20
C 0.29 -4.41 4.37
C -0.13 -5.24 3.30
C -0.47 -4.71 2.10
C -0.37 -3.25 1.80
H -4.95 1.15 3.04
H -5.25 0.35 5.35
H -3.41 -0.94 6.43
H -1.33 -1.32 5.24
H -0.67 1.44 4.88
H 0.77 2.41 6.60
H 3.11 1.62 6.85
H 3.97 -0.16 5.36
H 2.51 -1.15 3.65
H 0.58 -2.40 5.05
H 0.56 -4.84 5.32
H -0.17 -6.31 3.44
H -0.75 -5.37 1.28
H 0.49 -3.11 1.13
C 4.81 3.73 -0.84
C 3.34 3.34 -0.61
C 2.71 4.28 0.43
C 2.62 3.57 -1.94
Si 3.21 1.51 -0.13
O 1.72 0.88 -0.01
C 4.14 0.59 -1.50
C 5.49 0.24 -1.37
C 6.17 -0.41 -2.39
C 5.51 -0.73 -3.57
C 4.18 -0.39 -3.73
C 3.51 0.26 -2.70
C 4.19 1.13 1.44
C 5.02 2.00 2.15
C 5.89 1.53 3.13
C 5.97 0.17 3.41
C 5.13 -0.71 2.74
C 4.24 -0.22 1.78
H 4.86 4.80 -1.11
H 5.25 3.17 -1.67
H 5.45 3.59 0.03
H 2.82 5.32 0.11
H 3.16 4.19 1.42
H 1.63 4.08 0.52
H 2.73 4.62 -2.25
H 1.55 3.37 -1.86
H 3.03 2.95 -2.74
H 6.01 0.46 -0.45
H 7.21 -0.67 -2.27
H 6.04 -1.24 -4.37
H 3.65 -0.63 -4.65
H 2.46 0.50 -2.83
H 5.01 3.06 1.94
H 6.53 2.23 3.66
H 6.67 -0.20 4.14
H 5.16 -1.77 2.95
H 3.57 -0.92 1.29
C 1.17 5.14 3.80
N 0.23 4.23 3.19
C -1.17 4.61 3.15
C 0.63 3.03 2.72
O -0.09 2.18 2.21
H 0.92 5.31 4.85
H 1.16 6.10 3.27
H 2.17 4.72 3.74
H -1.61 4.58 4.15
H -1.72 3.93 2.50
H -1.26 5.63 2.76
H 1.71 2.86 2.85
O 1.79 -2.07 -0.10
S 2.97 -2.52 -0.91
C 2.53 -4.04 -1.73
C 3.24 -4.39 -2.87
C 2.95 -5.59 -3.50
C 1.96 -6.42 -2.98
C 1.25 -6.06 -1.85
C 1.53 -4.86 -1.21
C 4.07 -3.28 0.28
C 3.54 -3.85 1.42
C 4.40 -4.44 2.33
C 5.77 -4.45 2.10
C 6.29 -3.85 0.96
C 5.44 -3.25 0.04
H 3.99 -3.72 -3.27
H 3.49 -5.88 -4.39
H 1.73 -7.36 -3.48
H 0.46 -6.69 -1.47
H 0.99 -4.54 -0.34
H 2.48 -3.83 1.60
H 4.00 -4.90 3.23
H 6.44 -4.91 2.81
H 7.36 -3.84 0.78
H 5.83 -2.76 -0.84
*
```

---

Entry 2:
DFT (ωB97M-V with the def2-TZVPD basis set) results for a structure of composition C63H62As2Ge2IrN9O2P in a non-equilibrium geometry.

As for the max |F|: 0.0439 hartree/bohr. Its HOMO energy is -9.9869 eV. The total energy is -330675.30022 eV.

```
! wB97M-V def2-TZVPD RIJCOSX def2/J DEFGRID3
* xyz 1 1
Ir 0.02 -0.08 0.63
N -3.51 -2.28 1.09
C -3.38 -2.22 -0.28
N -4.40 -2.43 -1.08
N -3.88 -2.33 -2.33
N -2.63 -2.06 -2.28
N -2.27 -1.98 -0.96
C -2.55 -1.99 2.03
N -2.69 -2.32 3.30
N -1.58 -1.88 3.92
N -0.80 -1.31 3.08
N -1.38 -1.35 1.83
H -4.37 -2.67 1.44
O 1.67 -2.01 1.77
C 1.34 -0.80 1.95
C 1.88 0.04 3.04
C 2.85 -0.38 3.96
C 3.52 0.54 4.75
C 3.21 1.89 4.67
C 2.13 2.30 3.89
C 1.45 1.37 3.12
P -0.08 1.63 2.21
C -1.42 1.58 3.44
C -2.68 1.13 3.05
C -3.73 1.14 3.95
C -3.54 1.61 5.24
C -2.28 2.05 5.64
C -1.22 2.02 4.75
C -0.12 3.35 1.61
C 0.27 3.58 0.29
C 0.18 4.86 -0.26
C -0.28 5.91 0.52
C -0.65 5.69 1.84
C -0.58 4.41 2.38
H 3.06 -1.43 4.07
H 4.29 0.21 5.43
H 3.79 2.61 5.23
H 1.82 3.34 3.88
H -2.82 0.75 2.05
H -4.70 0.78 3.64
*/

• Work order:
The reader should return all of the notes earlier on with every line break kept.

• Done:
Entry 1:
DFT (ωB97M-V with the def2-TZVPD basis set) results for a structure of composition C63H61N6O6PS2SiTi in a non-equilibrium geometry.

As for the max |F|: 0.0488 hartree/bohr. Its HOMO energy (spin up / spin down) is -4.7542 / -4.7620 eV. The total energy is -149501.69346 eV.

```
! wB97M-V def2-TZVPD RIJCOSX def2/J DEFGRID3
* xyz 0 1
Ti -0.05 0.09 -0.12
N -2.51 -3.67 0.51
C -1.57 -2.67 0.94
N -1.03 -1.90 -0.17
C -1.00 -2.43 -1.38
N -0.49 -1.77 -2.43
N -0.18 -0.51 -2.06
C -0.03 0.37 -3.00
C -0.20 1.76 -2.60
C -0.33 2.80 -3.52
C -0.73 4.04 -3.05
C -0.97 4.21 -1.70
C -0.79 3.13 -0.84
N -0.40 1.94 -1.29
C -1.60 -3.74 -1.68
C -1.49 -4.35 -2.93
C -2.14 -5.54 -3.19
C -2.92 -6.12 -2.19
C -3.05 -5.52 -0.95
C -2.39 -4.32 -0.68
H -3.11 -4.06 1.21
H -2.13 -1.98 1.57
H -0.04 0.05 -4.04
H -0.16 2.62 -4.57
H -0.85 4.87 -3.74
H -1.30 5.16 -1.30
H -0.96 3.20 0.22
H -0.89 -3.86 -3.68
H -2.05 -6.01 -4.16
H -3.45 -7.05 -2.39
H -3.67 -5.97 -0.18
O -3.16 2.42 1.20
S -3.08 0.98 1.16
O -4.21 0.29 0.60
O -1.81 0.53 0.52
C -2.96 0.39 2.84
C -4.14 0.62 3.54
C -4.32 0.17 4.83
C -3.29 -0.55 5.43
C -2.12 -0.77 4.74
C -1.90 -0.29 3.44
P -0.18 -0.61 2.76
C 0.81 0.07 4.14
C 0.34 1.07 4.98
C 1.16 1.63 5.95
C 2.47 1.19 6.09
C 2.95 0.19 5.26
C 2.13 -0.37 4.29
C -0.07 -2.42 3.02
C 0.29 -3.02 4.20
C 0.29 -4.41 4.37
C -0.13 -5.24 3.30
C -0.47 -4.71 2.10
C -0.37 -3.25 1.80
H -4.95 1.15 3.04
H -5.25 0.35 5.35
H -3.41 -0.94 6.43
H -1.33 -1.32 5.24
H -0.67 1.44 4.88
H 0.77 2.41 6.60
H 3.11 1.62 6.85
H 3.97 -0.16 5.36
H 2.51 -1.15 3.65
H 0.58 -2.40 5.05
H 0.56 -4.84 5.32
H -0.17 -6.31 3.44
H -0.75 -5.37 1.28
H 0.49 -3.11 1.13
C 4.81 3.73 -0.84
C 3.34 3.34 -0.61
C 2.71 4.28 0.43
C 2.62 3.57 -1.94
Si 3.21 1.51 -0.13
O 1.72 0.88 -0.01
C 4.14 0.59 -1.50
C 5.49 0.24 -1.37
C 6.17 -0.41 -2.39
C 5.51 -0.73 -3.57
C 4.18 -0.39 -3.73
C 3.51 0.26 -2.70
C 4.19 1.13 1.44
C 5.02 2.00 2.15
C 5.89 1.53 3.13
C 5.97 0.17 3.41
C 5.13 -0.71 2.74
C 4.24 -0.22 1.78
H 4.86 4.80 -1.11
H 5.25 3.17 -1.67
H 5.45 3.59 0.03
H 2.82 5.32 0.11
H 3.16 4.19 1.42
H 1.63 4.08 0.52
H 2.73 4.62 -2.25
H 1.55 3.37 -1.86
H 3.03 2.95 -2.74
H 6.01 0.46 -0.45
H 7.21 -0.67 -2.27
H 6.04 -1.24 -4.37
H 3.65 -0.63 -4.65
H 2.46 0.50 -2.83
H 5.01 3.06 1.94
H 6.53 2.23 3.66
H 6.67 -0.20 4.14
H 5.16 -1.77 2.95
H 3.57 -0.92 1.29
C 1.17 5.14 3.80
N 0.23 4.23 3.19
C -1.17 4.61 3.15
C 0.63 3.03 2.72
O -0.09 2.18 2.21
H 0.92 5.31 4.85
H 1.16 6.10 3.27
H 2.17 4.72 3.74
H -1.61 4.58 4.15
H -1.72 3.93 2.50
H -1.26 5.63 2.76
H 1.71 2.86 2.85
O 1.79 -2.07 -0.10
S 2.97 -2.52 -0.91
C 2.53 -4.04 -1.73
C 3.24 -4.39 -2.87
C 2.95 -5.59 -3.50
C 1.96 -6.42 -2.98
C 1.25 -6.06 -1.85
C 1.53 -4.86 -1.21
C 4.07 -3.28 0.28
C 3.54 -3.85 1.42
C 4.40 -4.44 2.33
C 5.77 -4.45 2.10
C 6.29 -3.85 0.96
C 5.44 -3.25 0.04
H 3.99 -3.72 -3.27
H 3.49 -5.88 -4.39
H 1.73 -7.36 -3.48
H 0.46 -6.69 -1.47
H 0.99 -4.54 -0.34
H 2.48 -3.83 1.60
H 4.00 -4.90 3.23
H 6.44 -4.91 2.81
H 7.36 -3.84 0.78
H 5.83 -2.76 -0.84
*
```

---

Entry 2:
DFT (ωB97M-V with the def2-TZVPD basis set) results for a structure of composition C63H62As2Ge2IrN9O2P in a non-equilibrium geometry.

As for the max |F|: 0.0439 hartree/bohr. Its HOMO energy is -9.9869 eV. The total energy is -330675.30022 eV.

```
! wB97M-V def2-TZVPD RIJCOSX def2/J DEFGRID3
* xyz 1 1
Ir 0.02 -0.08 0.63
N -3.51 -2.28 1.09
C -3.38 -2.22 -0.28
N -4.40 -2.43 -1.08
N -3.88 -2.33 -2.33
N -2.63 -2.06 -2.28
N -2.27 -1.98 -0.96
C -2.55 -1.99 2.03
N -2.69 -2.32 3.30
N -1.58 -1.88 3.92
N -0.80 -1.31 3.08
N -1.38 -1.35 1.83
H -4.37 -2.67 1.44
O 1.67 -2.01 1.77
C 1.34 -0.80 1.95
C 1.88 0.04 3.04
C 2.85 -0.38 3.96
C 3.52 0.54 4.75
C 3.21 1.89 4.67
C 2.13 2.30 3.89
C 1.45 1.37 3.12
P -0.08 1.63 2.21
C -1.42 1.58 3.44
C -2.68 1.13 3.05
C -3.73 1.14 3.95
C -3.54 1.61 5.24
C -2.28 2.05 5.64
C -1.22 2.02 4.75
C -0.12 3.35 1.61
C 0.27 3.58 0.29
C 0.18 4.86 -0.26
C -0.28 5.91 0.52
C -0.65 5.69 1.84
C -0.58 4.41 2.38
H 3.06 -1.43 4.07
H 4.29 0.21 5.43
H 3.79 2.61 5.23
H 1.82 3.34 3.88
H -2.82 0.75 2.05
H -4.70 0.78 3.64